== Wanted ==
The reader should transcribe every line further below that contains the word "Cell".

== Given ==
-- begin --
1.
This record from the Alexandria database describes an optimized crystal structure of KTaGa3. The functional is PBE-GGA.

Unit cell a=5.1602 b=5.1602 c=5.1602 alpha=90.00 beta=90.00 gamma=90.00
Sites, in units of the cell vectors:
K1 0.0000 0.0000 0.0000
Ta1 0.5000 0.5000 0.5000
Ga1 0.0000 0.5000 0.5000
Ga2 0.5000 0.0000 0.5000
Ga3 0.5000 0.5000 0.0000

- Space-group type: Pm-3m (221)
- Offset from the most stable computed form: 0 meV per atom

2.
This record from the Alexandria database describes an optimized crystal structure of KTaGa3. The functional is PBE-GGA.

Unit cell a=5.0828 b=5.0828 c=5.0828 alpha=90.00 beta=90.00 gamma=90.00
Sites, in units of the cell vectors:
K1 0.0000 0.0000 0.0000
Ta1 0.5000 0.5000 0.5000
Ga1 0.0000 0.0000 0.5000
Ga2 0.0000 0.5000 0.0000
Ga3 0.5000 0.0000 0.0000

- Space-group type: Pm-3m (221)
- Offset from the most stable computed form: 1692 meV per atom

* * * * *

(1)
12
Lattice="-0.057 2.829 3.481 -6.552 -0.945 -2.229 3.244 -6.915 5.672" Properties=species:S:1:pos:R:3 comment="PBE Li2Mg3Sn, optimized geometry" formation_enthalpy_0k_ev_per_atom=-0.17 de_polymorph_mev_per_atom=0 pbc="T T T"
Li 2.353 -4.672 6.726
Li -5.717 -0.358 0.198
Li -3.350 0.903 2.102
Li -0.014 -5.934 4.822
Mg -1.814 -4.120 3.319
Mg -4.015 -2.546 4.894
Mg 0.391 -2.817 5.186
Mg -3.755 -2.214 1.738
Mg 0.651 -2.484 2.030
Mg -1.551 -0.911 3.606
Sn -2.011 -4.354 6.397
Sn -1.354 -0.676 0.528

***

(2)
4
Lattice="3.206 0.000 0.000 1.603 2.776 0.000 1.603 0.925 9.707" Properties=species:S:1:pos:R:3 comment="PBE Li2MgSn, optimized geometry" formation_enthalpy_0k_ev_per_atom=-0.14 pbc="T T T"
Li 1.603 0.925 7.384
Li 1.603 0.925 2.330
Mg 3.206 1.851 4.835
Sn 3.206 1.851 0.010

***

(3)
5
Lattice="5.060 0.000 0.000 0.000 5.060 0.000 0.000 0.000 5.060" Properties=species:S:1:pos:R:3 comment="PBE LiMgSn3, optimized geometry" formation_enthalpy_0k_ev_per_atom=0.17 de_polymorph_mev_per_atom=324 pbc="T T T"
Mg 2.530 2.530 2.530
Sn 0.000 2.530 0.000
Sn 0.000 0.000 2.530
Sn 2.530 0.000 0.000
Li 0.000 0.000 0.000

***

(4)
11
Lattice="7.127 -0.098 -0.320 -0.178 5.641 0.172 -0.763 0.092 7.093" Properties=species:S:1:pos:R:3 comment="PBE Li2Mg2Sn7, optimized geometry" formation_enthalpy_0k_ev_per_atom=-0.09 pbc="T T T"
Li 5.210 1.386 1.483
Li 0.976 4.249 5.463
Mg 5.091 2.816 5.599
Mg 1.095 2.819 1.347
Sn -0.128 1.409 4.175
Sn 3.995 4.229 0.304
Sn 6.314 4.227 2.771
Sn 2.191 1.406 6.643
Sn 0.000 0.000 0.000
Sn 3.349 4.241 3.233
Sn 2.837 1.395 3.713

***

no.,calculated density (g/cm3)
1,2.685
2,3.016
3,4.965
4,5.232

* * * * *

Density functional theory data (PBE-GGA) for an optimized crystal structure of Er2Zn2SnPd5.

Values from the calculation:
**DOS at the Fermi energy**: 8.8 states/eV per cell
**Calculated formation energy**: -701.5 kJ/mol of formula units
**Density**: 10.31 g/cm3
**SG**: P4/mbm

Cell: 9.709 9.709 3.813 Å, 90.00 90.00 90.00°
Element x y z (fractional)
1 Er 0.176 0.324 0.000
2 Er 0.324 0.824 0.000
3 Er 0.676 0.176 0.000
4 Er 0.824 0.676 0.000
5 Zn 0.120 0.620 0.000
6 Zn 0.380 0.120 0.000
7 Zn 0.620 0.880 0.000
8 Zn 0.880 0.380 0.000
9 Sn 0.000 0.000 0.000
10 Sn 0.500 0.500 0.000
11 Pd 0.000 0.500 0.500
12 Pd 0.069 0.792 0.500
13 Pd 0.208 0.069 0.500
14 Pd 0.292 0.569 0.500
15 Pd 0.431 0.292 0.500
16 Pd 0.500 0.000 0.500
17 Pd 0.569 0.708 0.500
18 Pd 0.708 0.431 0.500
19 Pd 0.792 0.931 0.500
20 Pd 0.931 0.208 0.500
-- stop --

== Outcome ==
Cell: 9.709 9.709 3.813 Å, 90.00 90.00 90.00°